(Brief)
Filter the notes underneath: keep the lines with the word "C3H13NO2S", please.
(Material)
Entry 1:
A 2-piece molecular cluster, C3H13N4 overall, computed with wB97M-V/def2-TZVPD.

Summary:
gap between HOMO and LUMO (spin up / spin down) = 3.1267 / 10.2308 eV
E_HOMO (spin up / spin down) = -2.46 / -9.76 eV
charge = 0
2S+1 = 2

Geometry as XYZ:
```
20
Properties=species:S:1:pos:R:3:nbo_charge:R:1
C -2.53 0.51 -0.05 -0.59
N -1.56 0.38 -1.18 -0.77
C -1.08 1.64 -1.75 -0.59
H -3.04 -0.45 0.05 0.21
H -1.97 0.78 0.85 0.19
H -3.24 1.29 -0.27 0.21
H -2.03 -0.21 -1.91 0.28
H -0.71 -0.18 -0.84 0.45
H -1.91 2.32 -1.94 0.21
H -0.54 1.43 -2.67 0.21
H -0.39 2.11 -1.04 0.21
N 2.79 -0.70 0.83 -0.82
C 1.42 -0.74 0.76 0.57
N 0.77 -0.65 1.96 -0.82
N 0.75 -0.92 -0.32 -0.85
H 3.27 -0.41 0.00 0.39
H 3.21 -0.37 1.68 0.38
H 1.18 -0.06 2.67 0.38
H -0.23 -0.62 1.90 0.40
H 1.37 -1.11 -1.11 0.35
```

***

Entry 2:
A 2-piece molecular cluster, C3H13N4 overall at a distorted geometry, computed with wB97M-V/def2-TZVPD.

Summary:
gap between HOMO and LUMO = 11.0424 eV
E_HOMO = -13.80 eV
charge = +1
2S+1 = 1

Geometry as XYZ:
```
20
Properties=species:S:1:pos:R:3:nbo_charge:R:1
C -2.49 0.28 -1.15 -0.63
C -2.00 1.41 -0.25 -0.22
N -0.53 1.20 0.01 -0.74
H -3.53 0.52 -1.46 0.25
H -1.91 0.25 -2.06 0.21
H -2.48 -0.71 -0.62 0.23
H -2.16 2.39 -0.71 0.22
H -2.51 1.30 0.70 0.22
H -0.30 0.18 0.43 0.46
H -0.12 1.84 0.70 0.43
H 0.03 1.22 -0.87 0.43
N 2.84 -1.09 1.41 -0.80
C 1.69 -0.92 0.66 0.63
N 1.91 -0.59 -0.74 -0.84
N 0.49 -0.94 1.17 -0.83
H 2.86 -1.66 2.25 0.42
H 3.64 -1.15 0.79 0.39
H 2.81 -0.91 -1.08 0.39
H 1.31 -1.20 -1.26 0.39
H 0.48 -1.40 2.09 0.39
```

***

Entry 3:
A 2-piece molecular cluster, C3H13N4 overall, computed with wB97M-V/def2-TZVPD.

Summary:
gap between HOMO and LUMO = 9.1672 eV
E_HOMO = -12.64 eV
charge = +1
2S+1 = 1

Geometry as XYZ:
```
20
Properties=species:S:1:pos:R:3:nbo_charge:R:1
C -1.24 -1.15 0.24 0.10
C -1.42 -1.44 -1.06 -0.25
N -0.23 -1.57 -1.93 -0.66
N -2.18 -0.81 1.15 -0.77
H -0.23 -1.16 0.63 0.20
H -2.37 -1.45 -1.57 0.23
H -0.13 -0.78 -2.56 0.44
H 0.61 -1.59 -1.35 0.44
H -0.24 -2.42 -2.50 0.44
H -3.11 -0.67 0.78 0.39
H -1.88 -0.03 1.72 0.42
N 2.53 1.79 0.39 -0.82
C 1.44 0.84 0.55 -0.05
N 0.16 1.34 1.10 -0.87
H 2.24 2.58 -0.17 0.36
H 2.80 2.13 1.30 0.36
H 1.23 0.43 -0.44 0.13
H 1.78 0.04 1.20 0.19
H 0.40 1.79 1.98 0.37
H -0.16 2.12 0.53 0.36
```

***

Entry 4:
A 3-piece molecular cluster, C3H13N5 overall at a distorted geometry, computed with wB97M-V/def2-TZVPD.

Summary:
gap between HOMO and LUMO (spin up / spin down) = 6.8728 / 8.0652 eV
E_HOMO (spin up / spin down) = -6.50 / -7.11 eV
charge = 0
2S+1 = 1

Geometry as XYZ:
```
21
Properties=species:S:1:pos:R:3:nbo_charge:R:1
C 0.71 -1.37 -0.17 -0.43
N 0.56 0.06 -0.02 -0.35
C -1.65 0.29 -0.92 0.16
N 1.19 0.95 -0.91 -0.67
N -1.98 1.62 -0.78 -0.88
C -2.46 -0.73 -1.18 -0.64
H 2.19 0.83 -0.79 0.37
H 0.87 0.73 -1.85 0.35
H -1.29 2.29 -1.11 0.39
H -2.94 1.90 -0.94 0.37
H 0.08 -1.86 0.57 0.21
H 1.75 -1.66 0.01 0.21
H 0.36 -1.68 -1.15 0.20
H -3.48 -0.59 -1.53 0.19
H -2.10 -1.75 -1.19 0.20
N 1.75 -0.18 2.67 -0.64
N 2.05 0.38 1.45 -0.45
H 1.81 -1.19 2.62 0.35
H 0.90 0.13 3.13 0.34
H 1.97 1.39 1.59 0.31
H -0.29 0.46 0.49 0.43
```

***

Entry 5:
C3H13NO2S as an isolated structure at a distorted geometry, computed with wB97M-V/def2-TZVPD.

Summary:
gap between HOMO and LUMO = 3.7907 eV
E_HOMO = -9.01 eV
charge = 0
2S+1 = 1

Geometry as XYZ:
```
20
Properties=species:S:1:pos:R:3:nbo_charge:R:1
C 0.75 -0.88 1.42 -0.64
C 0.72 0.41 0.55 -0.11
C 1.49 0.28 -0.74 -0.66
S 1.50 1.89 -1.43 0.44
N 1.30 1.38 1.51 -0.83
H 1.71 -1.03 1.93 0.21
H 0.51 -1.75 0.71 0.24
H -0.02 -0.94 2.20 0.23
H -0.33 0.60 0.30 0.25
H 2.39 -0.34 -0.59 0.30
H 0.83 -0.29 -1.47 0.38
H -1.70 0.94 -3.12 0.01
H 0.70 1.63 2.29 0.38
H 1.45 2.23 0.94 0.33
H -1.82 -0.84 -0.27 0.50
H -3.32 0.15 0.44 0.47
O -2.40 -0.11 0.36 -1.01
H -1.21 0.57 -2.70 -0.01
H -1.51 -2.25 -1.47 0.46
O -1.06 -1.66 -0.85 -0.93
```

***

Entry 6:
A 3-piece molecular cluster, C3H13NO2S2 overall at a distorted geometry, computed with wB97M-V/def2-TZVPD.
(Done)
C3H13NO2S as an isolated structure at a distorted geometry, computed with wB97M-V/def2-TZVPD.